[Assignment]
Filter the material below: keep the lines with the word "following".

[Data]
~~~
The following is a DFT calculation (ωB97M-V/def2-TZVPD) of one molecule with the formula C2H5NO.

Its total charge is 0. As for the maximum force: 3.430 eV Å⁻¹.

Element x y z (Å)
C  -1.01  -0.37  -0.01
C  -0.02  0.78  -0.08
N  1.27  0.82  -0.05
O  1.66  -0.59  -0.16
H  -1.69  -0.20  0.83
H  -1.66  -0.42  -1.00
H  -0.50  -1.29  0.00
H  -0.31  1.88  -0.11
H  2.26  -0.61  0.59

=====

The following is a DFT calculation (ωB97M-V/def2-TZVPD) of one molecule with the formula C2H5NO.

Its total charge is 0. As for the maximum force: 5.122 eV Å⁻¹.

Element x y z (Å)
C  -0.76  -0.27  0.25
N  0.66  -0.10  0.23
C  1.24  1.41  0.31
O  0.60  2.29  0.76
H  -1.23  -0.16  -0.74
H  -0.98  -1.27  0.62
H  -1.19  0.46  0.92
H  1.16  -0.61  -0.48
H  2.28  1.40  0.00

=====

The following is a DFT calculation (ωB97M-V/def2-TZVPD) of one molecule with the formula C2H5NO.

Its total charge is 0. As for the maximum force: 3.359 eV Å⁻¹.

Element x y z (Å)
C  0.49  -0.23  0.78
C  0.04  -0.28  -0.62
N  -0.81  0.83  -1.14
O  -1.33  -0.45  -0.86
H  -0.18  0.38  1.31
H  1.40  0.22  0.83
H  0.52  -1.11  1.40
H  0.66  -0.85  -1.41
H  -0.78  1.49  -0.29

=====

The following is a DFT calculation (ωB97M-V/def2-TZVPD) of one molecule with the formula C2H5NO2.

Its total charge is 0. As for the maximum force: 4.260 eV Å⁻¹.

Element x y z (Å)
C  1.29  -0.19  0.12
N  -0.04  0.13  -0.23
O  -0.32  1.53  -0.01
C  -1.12  -0.54  -0.05
O  -2.21  0.03  0.13
H  1.35  0.30  1.15
H  2.07  0.19  -0.63
H  1.31  -1.25  0.12
H  -1.34  1.46  -0.26
H  -0.99  -1.67  -0.33

=====

The following is a DFT calculation (ωB97M-V/def2-TZVPD) of one molecule with the formula C2H5NO2.

Its total charge is 0. As for the maximum force: 3.835 eV Å⁻¹.

Element x y z (Å)
O  1.17  1.20  0.84
C  1.27  -0.13  0.26
C  -0.08  -0.41  -0.53
N  -1.16  -0.12  0.04
O  -2.26  -0.38  -0.66
H  0.43  1.05  1.51
H  2.03  -0.20  -0.58
H  1.41  -0.79  1.07
H  -0.06  -0.70  -1.53
H  -2.74  0.46  -0.42

=====

The following is a DFT calculation (ωB97M-V/def2-TZVPD) of one molecule with the formula C2H5NO2.

Its total charge is 0. As for the maximum force: 5.962 eV Å⁻¹.

Element x y z (Å)
N  -0.26  1.20  -0.73
C  0.20  0.55  0.55
C  -0.34  -0.89  0.50
O  -1.52  -1.02  0.82
O  0.31  -1.63  -0.35
H  0.23  2.16  -0.94
H  -0.04  0.57  -1.49
H  -0.03  1.20  1.35
H  1.33  0.47  0.47
H  0.12  -2.61  -0.19

=====

The following is a DFT calculation (ωB97M-V/def2-TZVPD) of one molecule with the formula C2H5NO2.

Its total charge is 0. As for the maximum force: 6.579 eV Å⁻¹.

Element x y z (Å)
C  -0.19  -0.97  -0.71
N  0.29  0.36  -0.41
O  1.74  -0.01  0.08
C  -0.52  0.77  0.58
O  -1.60  0.06  0.69
H  0.00  -1.74  0.05
H  0.09  -1.18  -1.68
H  -1.22  -0.95  -1.08
H  2.25  0.52  -0.68
H  -0.02  1.67  0.85

=====

The following is a DFT calculation (ωB97M-V/def2-TZVPD) of one molecule with the formula C2H5NO2.

Its total charge is 0. As for the maximum force: 6.946 eV Å⁻¹.

Element x y z (Å)
C  -1.28  -0.71  0.10
O  -1.08  0.69  -0.50
C  0.18  1.22  -0.01
N  1.42  0.82  0.01
O  1.76  -0.73  -0.41
H  -2.34  -0.62  -0.15
H  -0.93  -1.52  -0.56
H  -0.79  -0.87  1.12
H  0.37  2.37  0.03
H  2.68  -0.65  0.37

=====

no.,E_LUMO (Ha),Kohn-Sham gap (eV),E_HOMO (eV)
1,0.037,10.972,-9.962
2,0.036,10.416,-9.433
3,0.039,10.914,-9.848
4,0.029,10.450,-9.655
5,0.039,10.898,-9.849
6,0.021,9.916,-9.350
7,0.003,10.233,-10.160
8,0.023,10.771,-10.153
~~~

[Done]
The following is a DFT calculation (ωB97M-V/def2-TZVPD) of one molecule with the formula C2H5NO.
The following is a DFT calculation (ωB97M-V/def2-TZVPD) of one molecule with the formula C2H5NO.
The following is a DFT calculation (ωB97M-V/def2-TZVPD) of one molecule with the formula C2H5NO.
The following is a DFT calculation (ωB97M-V/def2-TZVPD) of one molecule with the formula C2H5NO2.
The following is a DFT calculation (ωB97M-V/def2-TZVPD) of one molecule with the formula C2H5NO2.
The following is a DFT calculation (ωB97M-V/def2-TZVPD) of one molecule with the formula C2H5NO2.
The following is a DFT calculation (ωB97M-V/def2-TZVPD) of one molecule with the formula C2H5NO2.
The following is a DFT calculation (ωB97M-V/def2-TZVPD) of one molecule with the formula C2H5NO2.